Source
=====
Record 1
Here is an optimized crystal structure of CrIn2As from Alexandria via LeMat-Bulk. Energies are from PBE.

a b c (Å): 8.2628 8.2628 8.2628
angles (deg): 25.16 25.16 25.16
Element x y z (fractional)
Cr1 0.0000 0.0000 0.0000
In1 0.5225 0.5225 0.5225
In2 0.7530 0.7530 0.7530
As1 0.2784 0.2784 0.2784

Results
symmetry: No. 160
ΔH_f (0 K): 143 meV per atom

Record 2
Here is an optimized crystal structure of POs2Cl from Alexandria via LeMat-Bulk. Energies are from PBE.

a b c (Å): 2.9422 2.9422 6.9035
angles (deg): 90.00 90.00 90.00
Element x y z (fractional)
P1 0.0000 0.0000 0.0000
Os1 0.5000 0.5000 0.1904
Os2 0.5000 0.5000 0.8096
Cl1 0.0000 0.0000 0.5000

Results
energy relative to the lowest polymorph listed for this composition: 399 meV per atom
symmetry: No. 123

Record 3
Here is an optimized crystal structure of Rb2Nb3F10 from Alexandria via LeMat-Bulk. Energies are from PBE.

a b c (Å): 6.8919 8.8141 9.4376
angles (deg): 100.61 91.48 105.61
Element x y z (fractional)
Rb1 0.0000 0.0000 0.0000
Rb2 0.0129 0.0366 0.5597
Rb3 0.7336 0.4015 0.4554
Rb4 0.7933 0.3697 0.8645
Nb1 0.1300 0.6762 0.2542
Nb2 0.3055 0.4403 0.1851
Nb3 0.3048 0.5675 0.6261
Nb4 0.4482 0.8286 0.8011
Nb5 0.4628 0.9955 0.2395
Nb6 0.5671 0.7077 0.1809
F1 0.0108 0.4298 0.2499
F2 0.0480 0.3764 0.6207
F3 0.1471 0.3399 0.9932
F4 0.1559 0.9234 0.2794
F5 0.1658 0.6774 0.4781
F6 0.1693 0.6465 0.8083
F7 0.2646 0.9498 0.7404
F8 0.3491 0.1870 0.1892
F9 0.3669 0.9277 0.0129
F10 0.3692 0.4559 0.4084
F11 0.4784 0.1004 0.4486
F12 0.4864 0.4457 0.6887
F13 0.5575 0.4630 0.0664
F14 0.5790 0.7460 0.6123
F15 0.5856 0.7303 0.9561
F16 0.6705 0.9096 0.3468
F17 0.7086 0.0117 0.8017
F18 0.7222 0.1248 0.1877
F19 0.7946 0.6616 0.3129
F20 0.9836 0.6634 0.0673

Results
energy: -6.09 eV/atom
symmetry: No. 1

Record 4
Here is an optimized crystal structure of Al2NiMo from Alexandria via LeMat-Bulk. Energies are from PBE.

a b c (Å): 8.7035 8.7035 8.7035
angles (deg): 18.50 18.50 18.50
Element x y z (fractional)
Al1 0.0000 0.0000 0.0000
Al2 0.2426 0.2426 0.2426
Ni1 0.7409 0.7409 0.7409
Mo1 0.4883 0.4883 0.4883

Results
energy relative to the lowest polymorph listed for this composition: 264 meV per atom
symmetry: No. 160
ΔH_f (0 K): -97 meV per atom

Q: What is the formula in the fourth record?
A: Al2NiMo
=====

Work order
It remains to transcribe the contents above from the first line to the one with "Rb4 0.7933" character by character.

Response
Record 1
Here is an optimized crystal structure of CrIn2As from Alexandria via LeMat-Bulk. Energies are from PBE.

a b c (Å): 8.2628 8.2628 8.2628
angles (deg): 25.16 25.16 25.16
Element x y z (fractional)
Cr1 0.0000 0.0000 0.0000
In1 0.5225 0.5225 0.5225
In2 0.7530 0.7530 0.7530
As1 0.2784 0.2784 0.2784

Results
symmetry: No. 160
ΔH_f (0 K): 143 meV per atom

Record 2
Here is an optimized crystal structure of POs2Cl from Alexandria via LeMat-Bulk. Energies are from PBE.

a b c (Å): 2.9422 2.9422 6.9035
angles (deg): 90.00 90.00 90.00
Element x y z (fractional)
P1 0.0000 0.0000 0.0000
Os1 0.5000 0.5000 0.1904
Os2 0.5000 0.5000 0.8096
Cl1 0.0000 0.0000 0.5000

Results
energy relative to the lowest polymorph listed for this composition: 399 meV per atom
symmetry: No. 123

Record 3
Here is an optimized crystal structure of Rb2Nb3F10 from Alexandria via LeMat-Bulk. Energies are from PBE.

a b c (Å): 6.8919 8.8141 9.4376
angles (deg): 100.61 91.48 105.61
Element x y z (fractional)
Rb1 0.0000 0.0000 0.0000
Rb2 0.0129 0.0366 0.5597
Rb3 0.7336 0.4015 0.4554
Rb4 0.7933 0.3697 0.8645